**Source**
VASP calculation (PBE) on crystalline B3Pb6BrO10 at its relaxed geometry.

Properties
The total DFT energy (no corrections) is -6.34 eV per atom. As for the total magnetization: 0.0 μB per cell.

a b c (Å): 7.3021 11.1477 17.6016
angles (deg): 90.00 90.00 90.00
Closest atoms and distances in Å follow each position.
Fractional positions:
Pb  0.0792  0.2500  0.4750  3 O 2.32-2.35
Pb  0.9208  0.2500  0.9750  3 O 2.32-2.35
Pb  0.9660  0.9212  0.8415  3 O 2.30-2.37
Pb  0.0340  0.9212  0.3415  3 O 2.30-2.37
Pb  0.4760  0.4367  0.8453  3 O 2.31-2.39
Pb  0.4760  0.9367  0.6547  3 O 2.31-2.39
Pb  0.9660  0.5788  0.8415  3 O 2.30-2.37
Pb  0.0340  0.4212  0.1585  3 O 2.30-2.37
Pb  0.5240  0.0633  0.3453  3 O 2.31-2.39
Pb  0.0792  0.7500  0.0250  3 O 2.32-2.35
Pb  0.4093  0.7500  0.4370  3 O 2.38-2.39
Pb  0.9208  0.7500  0.5250  3 O 2.32-2.35
Pb  0.5240  0.5633  0.1547  3 O 2.31-2.39
Pb  0.5240  0.9367  0.1547  3 O 2.31-2.39
Pb  0.4760  0.5633  0.6547  3 O 2.31-2.39
Pb  0.5240  0.4367  0.3453  3 O 2.31-2.39
Pb  0.4760  0.0633  0.8453  3 O 2.31-2.39
Pb  0.0340  0.5788  0.3415  3 O 2.30-2.37
Pb  0.5907  0.7500  0.9370  3 O 2.38-2.39
Pb  0.9660  0.4212  0.6585  3 O 2.30-2.37
Pb  0.5907  0.2500  0.5630  3 O 2.38-2.39
Pb  0.9660  0.0788  0.6585  3 O 2.30-2.37
Pb  0.4093  0.2500  0.0630  3 O 2.38-2.39
Pb  0.0340  0.0788  0.1585  3 O 2.30-2.37
Br  0.1823  0.7500  0.7278  4 Pb 3.18-3.25, 1 O 3.39, 1 B 3.54
Br  0.8177  0.2500  0.2722  4 Pb 3.18-3.25, 1 O 3.39, 1 B 3.54
Br  0.8177  0.7500  0.2278  4 Pb 3.18-3.25, 1 O 3.39, 1 B 3.54
Br  0.1823  0.2500  0.7722  4 Pb 3.18-3.25, 1 O 3.39, 1 B 3.54
O  0.2311  0.5979  0.9602  1 B 1.38
O  0.3436  0.1055  0.9668  1 B 1.39
O  0.7274  0.5012  0.9184  1 B 1.40
O  0.3877  0.2500  0.3442  1 B 1.43
O  0.2726  0.4988  0.0816  1 B 1.40
O  0.2742  0.3607  0.2385  1 B 1.37
O  0.0890  0.2500  0.0891  4 Pb 2.30-2.38
O  0.7274  0.0012  0.5816  1 B 1.40
O  0.7689  0.4021  0.0398  1 B 1.38
O  0.7258  0.6393  0.7615  1 B 1.37
O  0.6123  0.2500  0.8442  1 B 1.43
O  0.2311  0.4021  0.5398  1 B 1.38
O  0.6564  0.3945  0.4668  1 B 1.39
O  0.3877  0.7500  0.1558  1 B 1.43
O  0.6564  0.1055  0.4668  1 B 1.39
O  0.6564  0.6055  0.0332  1 B 1.39
O  0.2742  0.8607  0.2615  1 B 1.37
O  0.6564  0.8945  0.0332  1 B 1.39
O  0.6123  0.7500  0.6558  1 B 1.43
O  0.7274  0.9988  0.9184  1 B 1.40
O  0.9110  0.2500  0.5891  4 Pb 2.30-2.38
O  0.3436  0.6055  0.5332  1 B 1.39
O  0.7689  0.0979  0.0398  1 B 1.38
O  0.7274  0.4988  0.5816  1 B 1.40
O  0.2726  0.9988  0.4184  1 B 1.40
O  0.7258  0.3607  0.7385  1 B 1.37
O  0.3436  0.3945  0.9668  1 B 1.39
O  0.9110  0.7500  0.9109  4 Pb 2.30-2.38
O  0.0890  0.7500  0.4109  4 Pb 2.30-2.38
O  0.7689  0.9021  0.4602  1 B 1.38
O  0.2726  0.5012  0.4184  1 B 1.40
O  0.2742  0.1393  0.2385  1 B 1.37
O  0.2311  0.9021  0.9602  1 B 1.38
O  0.2742  0.6393  0.2615  1 B 1.37
O  0.7258  0.1393  0.7385  1 B 1.37
O  0.2726  0.0012  0.0816  1 B 1.40
O  0.7258  0.8607  0.7615  1 B 1.37
O  0.7689  0.5979  0.4602  1 B 1.38
O  0.2311  0.0979  0.5398  1 B 1.38
O  0.3436  0.8945  0.5332  1 B 1.39
B  0.2820  0.4991  0.0020  3 O 1.38-1.40
B  0.2820  0.0009  0.0020  3 O 1.38-1.40
B  0.3030  0.7500  0.2294  3 O 1.37-1.43
B  0.2820  0.5009  0.4980  3 O 1.38-1.40
B  0.7180  0.5009  0.9980  3 O 1.38-1.40
B  0.3030  0.2500  0.2706  3 O 1.37-1.43
B  0.7180  0.0009  0.5020  3 O 1.38-1.40
B  0.6970  0.7500  0.7294  3 O 1.37-1.43
B  0.2820  0.9991  0.4980  3 O 1.38-1.40
B  0.6970  0.2500  0.7706  3 O 1.37-1.43
B  0.7180  0.9991  0.9980  3 O 1.38-1.40
B  0.7180  0.4991  0.5020  3 O 1.38-1.40

~~~~~

# 1
NaMgTi2BiO6 | PBE | relaxed

Summary:
Crystal system: trigonal
Polymorph energy (0 for the lowest one) in eV/atom: 0.0000
ΔH_f (0 K) in eV/f.u.: -28.9

Cell and atoms, written as CIF:
```
data_NaMgTi2BiO6
_cell_length_a 6.7331
_cell_length_b 6.7331
_cell_length_c 6.7331
_cell_angle_alpha 48.07
_cell_angle_beta 48.07
_cell_angle_gamma 48.07
_space_group_name_H-M_alt 'P 1'
_space_group_IT_number 1
loop_
**Wanted**
Quote every line further above that contains the word "system", please.
**Done**
Crystal system: trigonal